Excerpt
<<<
For AcMn3Ga4O12, a cell relaxed with PBE+U gives the calculated PXRD pattern in this record (Cu Kα X-rays).
Neutral-atom scattering factors, no anomalous dispersion.

a b c (Å): 7.555 7.555 7.555
angles (deg): 90.00 90.00 90.00
Space group Im-3 (No. 204)
Inequivalent atoms, fractional coordinates:
Ac 0.000 0.000 0.000
Mn 0.000 0.000 0.500
Ga 0.250 0.250 0.250
O 0.000 0.311 0.178

Main lines, sorted by position (2θ from 10° to 90°):
2θ 16.6, 5.342 Å, I 33, hkl 1 1 0
2θ 28.9, 3.084 Å, I 16, hkl 2 1 1
2θ 33.6, 2.671 Å, I 100, hkl 2 2 0
2θ 37.7, 2.389 Å, I 16, hkl 3 0 1
2θ 44.9, 2.019 Å, I 18, hkl 3 1 2
2θ 48.2, 1.889 Å, I 24, hkl 4 0 0
2θ 60.0, 1.542 Å, I 48, hkl 4 2 2
2θ 62.7, 1.482 Å, I 8, hkl 4 3 1
2θ 70.5, 1.336 Å, I 13, hkl 4 4 0
2θ 80.4, 1.195 Å, I 17, hkl 6 2 0

* * * * *

Entry 1:
Diffraction record for Bi8Rh8O27. The powder diffraction line list is theoretical, not measured: it uses a structure optimized by DFT (PBE) and Cu Kα.
Kinematic intensities with the Lorentz-polarization factor, no thermal factor.

Atomic structure:
Cell lengths 12.667, 12.667, 12.667 Å; angles 33.57, 33.57, 33.57 degrees
Sites, in units of the cell vectors:
Bi 0.000 0.000 0.000
Bi 0.249 0.748 0.748
Bi 0.255 0.255 0.742
Bi 0.255 0.742 0.255
Bi 0.495 0.495 0.495
Bi 0.742 0.255 0.255
Bi 0.748 0.249 0.748
Bi 0.748 0.748 0.249
Rh 0.000 0.000 0.499
Rh 0.000 0.499 0.000
Rh 0.249 0.249 0.249
Rh 0.499 0.000 0.000
Rh 0.500 0.500 0.997
Rh 0.500 0.997 0.500
Rh 0.748 0.748 0.748
Rh 0.997 0.500 0.500
O 0.068 0.068 0.068
O 0.082 0.082 0.501
O 0.082 0.501 0.082
O 0.127 0.705 0.705
O 0.207 0.207 0.628
O 0.207 0.628 0.207
O 0.291 0.291 0.875
O 0.291 0.875 0.291
O 0.375 0.790 0.790
O 0.416 0.416 0.999
O 0.416 0.999 0.416
O 0.492 0.918 0.918
O 0.501 0.082 0.082
O 0.555 0.555 0.555
O 0.583 0.583 0.996
O 0.583 0.996 0.583
O 0.628 0.207 0.207
O 0.705 0.127 0.705
O 0.705 0.705 0.127
O 0.790 0.375 0.790
O 0.790 0.790 0.375
O 0.875 0.291 0.291
O 0.918 0.492 0.918
O 0.918 0.918 0.492
O 0.937 0.937 0.937
O 0.996 0.583 0.583
O 0.999 0.416 0.416

The 10 most intense peaks (5 to 70 degrees two-theta), low angle first:
2θ 14.83, I 10; 2θ 28.62, I 6; 2θ 29.92, I 100; 2θ 34.69, I 36; 2θ 37.91, I 8; 2θ 45.57, I 4; 2θ 49.87, I 45; 2θ 52.33, I 3; 2θ 59.26, I 44; 2θ 62.18, I 11


Entry 2:
Diffraction record for HfMg14TiO16. The powder diffraction line list is theoretical, not measured: it uses a structure optimized by DFT (PBE) and Cu Kα.
Kinematic intensities with the Lorentz-polarization factor, no thermal factor.

Atomic structure:
Cell lengths 4.311, 8.630, 8.683 Å; angles 90.00, 90.00, 90.00 degrees
Sites, in units of the cell vectors:
Hf 0.000 0.000 0.000
Mg 0.000 0.000 0.500
Mg 0.000 0.255 0.256
Mg 0.000 0.255 0.744
Mg 0.000 0.500 0.500
Mg 0.000 0.745 0.256
Mg 0.000 0.745 0.744
Mg 0.500 0.000 0.257
Mg 0.500 0.000 0.743
Mg 0.500 0.251 0.500
Mg 0.500 0.257 0.000
Mg 0.500 0.500 0.252
Mg 0.500 0.500 0.748
Mg 0.500 0.743 0.000
Mg 0.500 0.749 0.500
Ti 0.000 0.500 0.000
O 0.000 0.000 0.256
O 0.000 0.000 0.744
O 0.000 0.246 0.000
O 0.000 0.249 0.500
O 0.000 0.500 0.260
O 0.000 0.500 0.740
O 0.000 0.751 0.500
O 0.000 0.754 0.000
O 0.500 0.000 0.000
O 0.500 0.000 0.500
O 0.500 0.250 0.249
O 0.500 0.250 0.751
O 0.500 0.500 0.000
O 0.500 0.500 0.500
O 0.500 0.750 0.249
O 0.500 0.750 0.751

The 10 most intense peaks (5 to 70 degrees two-theta), low angle first:
2θ 10.21, I 84; 2θ 14.47, I 30; 2θ 22.98, I 31; 2θ 23.04, I 30; 2θ 31.06, I 35; 2θ 35.99, I 45; 2θ 41.60, I 51; 2θ 41.89, I 100; 2θ 60.52, I 59; 2θ 60.74, I 29


Entry 3:
Diffraction record for BaGa2Se4. The powder diffraction line list is theoretical, not measured: it uses a structure optimized by DFT (PBE) and Cu Kα.
Kinematic intensities with the Lorentz-polarization factor, no thermal factor.

Atomic structure:
Cell lengths 6.584, 6.584, 11.608 Å; angles 90.00, 90.00, 122.19 degrees
Sites, in units of the cell vectors:
Ba 0.000 0.000 0.250
Ba 0.000 0.000 0.750
Ga 0.258 0.740 0.000
Ga 0.260 0.742 0.500
Ga 0.740 0.258 0.500
>>>
Activity
What is needed: count the lines earlier on that contain the word "with" and give the number alone.
Here it is
4